The I-Wood shapes' main contribution to the environment is their ability to manufacture two beams out of one log. By changing our perspective at the sawmill, we can reduce by up to 30% our need to cut trees. Research shows that half of all dimension lumber could be profiled in I-Wood's shapes to everyone's advantage (except the freight companies!).
### Here the entry breaks off for records of molecules
This record from the OMol25 dataset describes a molecular structure, C33H34N7O4PtS2Si in a non-equilibrium geometry. The level of theory is ωB97M-V/def2-TZVPD.

Last column: Mulliken charge in e.
Element x y z (Å)
Pt: 1.27087 1.49911 0.32887  1.519
C: 1.62237 3.14584 4.36853  -1.547
C: 1.43489 2.93404 2.90643  0.228
N: 1.85147 1.78731 2.28471  0.326
N: 2.80320 0.99949 2.82987  -1.336
C: 3.81879 0.81767 1.98078  0.586
N: 4.99066 0.25489 2.35466  -0.398
S: 3.70721 1.65745 0.39908  -0.548
C: 1.24228 3.99939 1.89563  0.707
C: 1.35888 5.36862 2.06309  -1.001
C: 1.55561 6.19884 0.99791  -0.206
C: 1.64170 5.60318 -0.30970  -0.864
C: 1.51897 4.23930 -0.43676  0.022
N: 1.25623 3.45833 0.60554  0.164
H: 2.04926 2.18354 4.75468  0.390
H: 0.72139 3.34805 4.95430  0.302
H: 2.39404 3.91230 4.53065  0.366
H: 4.99842 -0.19357 3.26661  0.262
H: 5.64249 -0.05937 1.66367  0.249
H: 1.46232 5.78194 3.06750  0.371
H: 1.56223 7.28525 1.08727  0.381
H: 1.76592 6.24568 -1.17176  0.388
H: 1.62288 3.80183 -1.41355  0.440
O: -8.62673 0.84333 2.25960  -0.673
S: -7.70443 1.95471 2.44689  1.060
O: -6.91499 1.89873 3.65341  -0.632
O: -8.07015 3.32620 1.99524  -0.681
C: -6.87443 1.87688 0.80428  0.204
N: -7.63093 2.24660 -0.25264  -0.494
C: -6.95079 2.17399 -1.39403  -0.435
C: -5.63313 1.73195 -1.54554  -0.460
C: -4.98196 1.40437 -0.36358  0.055
N: -5.69117 1.39308 0.77456  -0.351
C: -3.51818 1.21057 -0.13582  1.272
C: -2.63901 1.38635 -1.19684  -0.906
C: -1.27374 1.45840 -0.96236  -0.335
N: -0.78153 1.35335 0.25500  -0.149
C: -1.56984 1.09062 1.28173  -0.428
C: -2.94217 1.06420 1.14212  -0.683
H: -7.54822 2.52550 -2.21048  0.439
H: -5.07572 1.66927 -2.49862  0.358
H: -3.04218 1.54150 -2.16710  0.290
H: -0.56669 1.61715 -1.73850  0.498
H: -1.10129 1.05917 2.28296  0.480
H: -3.57233 0.96360 2.00829  0.660
C: 2.07721 -4.84979 -0.34994  -1.740
C: 2.34312 -3.47331 0.31813  2.124
C: 1.95082 -3.51945 1.80747  -1.756
C: 3.83787 -3.20499 0.23050  -1.543
Si: 1.42744 -1.97165 -0.50040  -1.630
O: 1.44421 -0.62312 0.26296  -0.018
C: -0.31693 -2.57643 -0.91390  0.447
C: -1.13817 -3.29152 -0.03415  -0.207
C: -2.39068 -3.76505 -0.38387  -0.732
C: -2.83590 -3.56634 -1.69244  -0.561
C: -2.03085 -2.89131 -2.61219  -0.933
C: -0.83233 -2.33711 -2.18513  0.016
C: 2.30484 -2.09346 -2.16625  0.633
C: 3.29986 -1.21323 -2.46376  0.369
C: 3.91929 -1.16583 -3.72870  -0.699
C: 3.41322 -1.99960 -4.73512  -0.578
C: 2.36716 -2.89006 -4.43892  -0.937
C: 1.91159 -3.00167 -3.15124  -0.016
H: 2.48487 -5.65801 0.28684  0.512
H: 2.54821 -4.95581 -1.33766  0.284
H: 0.99695 -5.01355 -0.41772  0.317
H: 2.73160 -4.09418 2.33561  0.522
H: 0.99725 -3.97975 1.98803  0.324
H: 1.93114 -2.48389 2.19627  0.204
H: 4.35699 -3.99028 0.87488  0.494
H: 4.18461 -2.22417 0.60942  0.089
H: 4.27128 -3.26988 -0.78527  0.306
H: -0.81518 -3.35864 0.98414  0.326
H: -3.03643 -4.13932 0.39940  0.409
H: -3.78888 -3.96960 -2.04743  0.374
H: -2.34139 -2.61847 -3.60839  0.426
H: -0.28391 -1.65840 -2.83841  0.592
If we assume it takes 2 typical small diameter trees to manufacture 1 MBFM (a thousand board-feet) of lumber, this 30,000,000 MBFM is equivalent to 60,000,000 trees. We can see how the 30% fiber saving produced the I-Wood system can make it unnecessary to cut down 20,000,000 trees in America annually to satisfy the current market for wood fiber in all its forms. Savings (not costs!) to the forest industry would be in the range of billions of dollars per year.
In due course it is to be hoped that the government will see the benefits to the environment to treating the forest industry in the same way that they treat the automobile industry. The automobile industry has responded to government encouragement to increase the fuel economy of their products. There is no reason why the forest products companies could not be encouraged to take the same approach while at the same time increasing their profitability through better use of their resources. The end result of such a governmental lead could result in a 30% reduction in tree-cutting worldwide to meet the demand for building materials.
I-Wood's shaped lumber can be used as a substitute for con ventional lumber in about 60% of the time when the material is used for structural purposes and 90% of the time when aesthetic considerations are involved. Compared to conventional lumber it is lighter, the joints are stronger, the wood twists and warps less and while it looks more expensive it is considerably less expensive when manufactured in volume.
+++
No. 1
The following is a DFT calculation (ωB97M-V with the def2-TZVPD basis set) of a molecular structure, C17H19NO8SeY in a non-equilibrium geometry.

Last column: Mulliken charge in e.
Positions of all 47 atoms, in Å:
Y -1.047132 0.676847 -0.689882  1.140
O -4.737890 0.245983 -1.999616  -0.705
C -3.799120 -0.073260 -1.297426  0.118
O -2.570976 -0.279309 -1.690039  -0.673
C -4.036530 -0.311972 0.207832  -0.267
C -3.015895 -1.290306 0.819045  0.229
C -3.501255 -1.775693 2.184261  -1.085
C -3.251387 -0.523449 3.072587  -1.018
C -2.695819 0.470903 2.060004  -0.040
O -1.916767 -0.403027 1.190799  -0.414
C -3.826648 0.965439 1.126501  0.022
C -3.434978 2.267948 0.398711  0.057
O -4.141933 3.245896 0.517090  -0.702
O -2.303127 2.205642 -0.261400  -0.693
H -5.052862 -0.684597 0.294999  0.608
H -2.651827 -2.051662 0.143512  0.635
H -2.917408 -2.629769 2.522786  0.347
H -4.550629 -2.067690 2.145927  0.397
H -2.510137 -0.726477 3.843709  0.353
H -4.155031 -0.144683 3.549354  0.398
H -2.058550 1.248640 2.461365  0.600
H -4.722584 1.205048 1.686870  0.575
C 5.595106 -1.197918 -2.036804  -1.622
C 4.456189 -0.478522 -1.350985  0.641
C 3.929088 0.690723 -1.876190  -0.924
C 2.878845 1.374195 -1.267941  1.121
C 2.375658 2.632012 -1.921916  -1.714
C 2.307291 0.857756 -0.090194  0.205
Se 0.828458 1.758129 0.782139  -0.379
C 2.853668 -0.311444 0.472012  1.170
C 2.304541 -0.902518 1.744386  -1.581
C 3.910103 -0.956688 -0.170884  -1.011
H 5.552921 -1.057632 -3.119134  0.370
H 5.559885 -2.270508 -1.834386  0.368
H 6.566758 -0.828776 -1.694488  0.308
H 4.337357 1.085137 -2.804984  0.269
H 3.073802 2.958227 -2.697105  0.447
H 2.244826 3.430123 -1.192208  0.336
H 1.405742 2.476039 -2.393994  0.234
H 1.280340 -1.248450 1.597690  0.189
H 2.270256 -0.154425 2.539285  0.320
H 2.918700 -1.747311 2.068949  0.412
H 4.306330 -1.872809 0.265001  0.244
O -0.024875 -1.258031 -0.706935  -0.525
N 0.515138 -0.981813 -1.841798  1.441
O 1.285615 -1.719763 -2.391190  -0.648
O 0.166740 0.153831 -2.365296  -0.554

Cartesian forces, eV/Å:
0.65 1.03 0.64
0.05 0.04 0.03
0.08 -0.32 -0.19
-2.40 -0.84 -0.78
0.21 0.16 0.18
-0.25 0.30 0.23
-0.02 0.13 0.08
-0.05 -0.14 0.00
-0.30 -0.14 -0.30
-0.51 -0.13 0.25
0.17 -0.17 -0.27
0.23 0.03 -0.12
0.06 0.02 -0.05
-2.37 1.75 0.99
-0.09 0.02 0.10
0.12 -0.06 -0.10
0.02 0.00 0.02
0.02 -0.01 0.02
0.00 -0.03 0.02
0.02 -0.02 0.00
0.17 0.07 0.00
-0.13 -0.08 0.09
-0.09 0.04 0.05
0.11 -0.06 -0.08
0.01 0.06 -0.05
-0.08 -0.06 0.01
0.10 0.02 0.04
0.21 -0.02 0.17
1.83 0.95 1.01
-0.06 -0.03 -0.04
0.08 0.03 -0.05
-0.06 -0.03 0.15
-0.01 0.00 0.05
-0.01 0.05 0.00
-0.04 0.00 0.00
-0.03 -0.01 0.08
-0.05 -0.01 0.06
0.01 0.02 0.02
-0.08 -0.05 -0.01
-0.04 0.00 -0.02
0.02 -0.02 -0.02
-0.05 0.07 -0.02
-0.06 0.09 -0.03
1.26 -1.26 -1.01
0.22 -0.36 -0.28
-0.36 0.31 0.25
1.48 -1.34 -1.12

## Properties
E in eV: -102201.4067
Charge: -1
Spin multiplicity: 1
LUMO energy in eV: 2.686
Highest occupied orbital energy in eV: -4.81

***

No. 2
+++
The fiber milled out of the wood during the production process is about 30% of the total material. It can be used in products ranging through paper and fiber board to ethanol and pelletized fuel. Conversion to I-Wood reduces the amount of time that loggers disrupt the forests with their heavy equipment by 30%, without reducing the forest product companies’ profitability. In fact, sustainable forestry is becoming synonymous with sustained long-term profits.
Next to the piece, the page also holds molecular data.
********
Record 1
This record from OMol25 describes an isolated ion of composition C7H15N2 and charge +1 at a distorted geometry. The level of theory is wB97M-V/def2-TZVPD.

Structure (ORCA input):
```
! RIJCOSX wB97M-V def2-TZVPD def2/J DEFGRID3
* xyz 1 1
C 3.6286 0.7144 1.6487
N 2.3407 1.2426 1.8747
C 1.0900 0.7797 1.4295
C 0.9353 -0.5119 0.8681
C -0.2093 -1.0248 0.2525
C -1.3046 -0.2712 -0.1764
C -1.6085 1.1460 -0.3937
N -2.2394 -1.1024 -0.9837
C -2.0974 -1.1510 -2.3765
H 4.1464 1.4736 1.0327
H 4.1995 0.4908 2.4589
H 3.6695 -0.2233 1.1084
H 2.3262 2.2562 2.0383
H 0.1787 1.4029 1.4395
H 1.8277 -1.2793 0.8385
H -0.2001 -2.0964 0.0171
H -2.1517 1.2609 -1.3002
H -0.6560 1.6227 -0.4206
H -2.1213 1.5764 0.4028
H -2.1642 -2.0778 -0.6722
H -3.1983 -0.8084 -0.7434
H -2.2443 -0.0143 -2.8422
H -1.2150 -1.6616 -2.6817
H -2.9325 -1.7439 -2.8192
*
```

Summary:
E (hartree): -384.8937
HOMO (eV): -10.9543
SMILES: CN/C=C/C=C(\C)[NH2+]C
Frontier orbital gap (eV): 8.0
ΔE to the lowest compared entry with this formula, charge and spin (kcal/mol): 64.7
E_LUMO (eV): -2.9

***

Record 2
This record from OMol25 describes one molecule with the formula C7H15N2OP at a distorted geometry. The level of theory is wB97M-V/def2-TZVPD.

Structure (ORCA input):
```
! RIJCOSX wB97M-V def2-TZVPD def2/J DEFGRID3
* xyz 0 1
C 1.8231 -3.0941 -0.5668
C 1.3951 -1.8414 0.2381
C -0.1297 -1.4084 0.0243
O -0.9740 -2.3081 -0.1212
N -0.4179 -0.1736 0.3649
C -1.7139 0.3587 0.0769
C -1.8615 1.1819 -1.1269
C -1.0159 2.4258 -0.9390
P 0.8063 1.9110 -0.6629
N 0.5964 0.7942 0.7044
C 0.5590 1.3766 1.9706
H 2.9494 -3.3358 -0.4143
H 1.7349 -2.8236 -1.7248
H 1.1691 -3.9579 -0.2023
H 2.0000 -1.0078 -0.1881
H 1.4445 -2.1421 1.2996
H -1.9663 1.0113 1.0304
H -2.3324 -0.5361 0.1262
H -1.4187 0.6777 -1.9662
H -2.9441 1.3483 -1.2845
H -1.0002 3.1051 -1.9149
H -1.5354 2.9671 -0.1307
H 0.9192 0.7734 -1.4440
H -0.3621 1.9648 2.1664
H 0.8403 0.6643 2.6821
H 1.4350 2.0684 2.0027
*
```

Summary:
E (hartree): -801.7384
HOMO (eV): -8.9654
SMILES: CCC(=O)N1CCCPN1C
Frontier orbital gap (eV): 9.8
ΔE to the lowest compared entry with this formula, charge and spin (kcal/mol): 66.9
E_LUMO (eV): 0.9

***

Record 3
This record from OMol25 describes a 2-piece molecular cluster, C7H15N2S overall at a distorted geometry. The level of theory is wB97M-V/def2-TZVPD.

Structure (ORCA input):
```
! RIJCOSX wB97M-V def2-TZVPD def2/J DEFGRID3
* xyz 1 1
C -2.0715 1.3499 -1.0027
C -2.4510 -0.4773 0.6827
C -1.1440 -0.1424 0.2133
C -2.9693 -1.8702 0.3898
C 1.6192 1.7063 0.0380
C 2.3757 -0.2258 -1.3576
C 2.2329 -0.2973 1.1416
N -0.9303 0.7364 -0.6925
N 1.8286 0.3395 -0.0332
S -3.5405 0.8664 -0.2730
H -1.9408 2.0080 -1.8437
H -2.6073 -0.4058 1.7807
H -0.3356 -0.8240 0.4120
H -2.1964 -2.6696 0.5680
H -3.2335 -1.8498 -0.6865
H -3.8687 -2.1835 1.0285
H 2.4509 2.2656 -0.4118
H 0.7038 1.9464 -0.5259
H 1.5044 2.0985 1.0834
H 1.5865 -0.6505 -2.0156
H 2.8867 0.4854 -1.9612
H 3.0378 -0.9118 -0.9463
H 2.4090 -1.4043 0.9748
H 3.1038 0.1706 1.5513
********
1 MBFM of lumber is roughly equivalent to the lumber from one plantation grown tree, thirty to forty feet high and eighteen inches diameter at the base. Therefore, about 10 MBFM (or 10 trees) are used to build a good sized North American home. If I-Wood shapes are used instead of conventional lumber you, for the sake of discussion, would have twenty five percent less wood fiber in your home - equivalent to leaving almost 3 trees standing in the forest.